News | 9/6/2009 at 1:25 PM

The article is interrupted by data records:
Ti6NO: calculated powder XRD pattern (copper Kα), based on a DFT-relaxed cell (GGA-PBE, Alexandria).
Kinematic intensities with the Lorentz-polarization factor, no thermal factor.

Peak list (10 most intense, 2θ from 15° to 90°, by angle)
| hkl | 2θ/deg | d_spacing | I (rel.) |
| --- | --- | --- | --- |
| 1 0 1 | 21.99 | 4.043 | 3 |
| 1 1 0 | 34.93 | 2.569 | 15 |
| 0 0 4 | 37.17 | 2.419 | 22 |
| 2 -1 2 | 39.73 | 2.269 | 100 |
| 1 1 4 | 51.92 | 1.761 | 20 |
| 3 0 0 | 62.63 | 1.483 | 18 |
| 1 1 6 | 68.72 | 1.366 | 17 |
| 3 0 4 | 75.13 | 1.264 | 14 |
| 2 2 2 | 76.77 | 1.241 | 12 |
| 4 -2 4 | 85.62 | 1.134 | 4 |

Crystal structure
Cell: 5.1379 5.1379 9.6763 Å, 90.00 90.00 120.00°
Space group P-31c (No. 163)
Symmetry-distinct sites (fractional):
Ti: 0.0112 0.3365 0.1254 (multiplicity 12)
N: 0.3333 0.6667 0.2500 (multiplicity 2)
O: 0.0000 0.0000 0.0000 (multiplicity 2)

* * * * *

Diffraction record for LiMnPO4. The X-ray diffraction stick pattern is calculated, not measured: it uses a cell relaxed with PBE+U and Cu Kα (λ = 1.5418 Å).
Lines closer than 0.1° are merged.

Main lines, most intense first (10 to 80 degrees two-theta):
Position (°2θ)	Rel. int.	h k l
33.61	100	2 2 0
24.41	46	1 1 1
20.10	33	1 0 1
34.39	30	1 2 1
50.02	24	2 2 2
59.60	19	5 2 1
23.32	18	2 1 0
35.95	15	0 0 2

Crystal structure
abc: 9.453 6.462 4.996
angles: 90.00 90.00 90.00
Positions (direct):
Li1 0.170 0.250 0.023
Li2 0.330 0.750 0.523
Li3 0.670 0.250 0.477
Li4 0.830 0.750 0.977
Mn1 0.000 0.000 0.500
Mn2 0.000 0.500 0.500
Mn3 0.500 0.000 0.000
Mn4 0.500 0.500 0.000
P1 0.179 0.750 0.020
P2 0.321 0.250 0.520
P3 0.679 0.750 0.480
P4 0.821 0.250 0.980
O1 0.121 0.551 0.151
O2 0.121 0.949 0.151
O3 0.141 0.750 0.715
O4 0.155 0.250 0.573
O5 0.345 0.750 0.073
O6 0.359 0.250 0.215
O7 0.379 0.051 0.651
O8 0.379 0.449 0.651
O9 0.621 0.551 0.349
O10 0.621 0.949 0.349
O11 0.641 0.750 0.785
O12 0.655 0.250 0.927
O13 0.845 0.750 0.427
O14 0.859 0.250 0.285
O15 0.879 0.051 0.849
O16 0.879 0.449 0.849

League of Legends: Clash of Fates Preview

Game Name: League of Legends: Clash of Fates
Co-Op: Yes
Co-Op Type/Multiplayer Type: Competitive co-op in the vein of DotA
Publisher/Developer: Riot Games
Release Date: Oct. 6, 2009

We sat down yesterday with Steven Snow, Vice President of Productions for Riot Games, to talk about their free upcoming release, League of Legends: Clash of Fates.  Gamers who are familiar with the Warcraft 3 mod Defense of the Ancients: Allstars (or DotA: Allstars as it’s also known) are likely to feel right at home with Legends as it uses the same style of play.  What’s more, the designer for DotA: Allstars, Steve “Guinsoo” Feak, and the creator of the fansite that was the official support base for it, Steve “Pendragon” Mescon, are both involved with the making of this game and it definitely shows.

The gameplay for League of Legends focuses on two teams of five players that are trying to take out the other team’s base.  This might sound like a standard 5v5 RTS style game, however, the action is more akin to Dawn of War II than Starcraft.  A group of minions spawn at regular intervals from your team’s base and march towards the other team’s base attempting to leave a path of destruction in their wake.  These minions aren’t strong enough to destroy the other team by themselves, so each player takes control over a champion.  These champions are equivalent to a hero-type unit that has more life, attack, and defense than the minions, as well as special abilities to either take out opposing champions or support their fellow champions.  The champions, 34 in total for now, generally fall into one of three categories: tank, support, and DPS/nuker.  The champions’ abilities vary across these categories and the champion themselves, and each serves a specific role in combat that ensures players will definitely have to work together in order to bring down the other team.

Minions wage war in League of Legends

While the champions and minions do all the fighting, the Summoner (i.e., the role assumed by the player) controls them and has abilities of his own to contribute to the battle.  Players will gain levels and earn influence points, win or lose, by participating in matches and can use these influence points to purchase runes that power-up their champions, masteries that influence elements of a match, and new champions. Players’ statistics for time played, wins, losses, leaves, recent match history, and most played champion are all tied to their Summoner and play a role in the matchmaking mechanics to ensure casual players aren’t pitted against hardcore players.  Even though we did not have time to actually sit down and play the game, we were able to watch it in action.  As we watched, it became absolutely clear that the players on a team have to work together if they hoped to win.  Players that only focus on “ganking the most noobs” won’t do very well in League of Legends, and can easily lose to a team of players that may not excel in all mechanics of the game but do excel in coordinating their attacks.  Steven talked about this sort of mechanic during our interview with him:


[League of Legends] may look like it’s just a one single-minded player kind of game.  The reality of it is that League of Legends and the DotA gameplay experience is, at its root layer, team-based.  You can have a group of guys, and we did this in an internal competition we had, that are really, really good and know what to do with this champion and know what the best strategies are… that will get wrecked by a team of mediocre guys who know how each other play… The teams that are really, really good are the ones that understand that it’s not necessarily about how many kills you get in the game, it’s about how you move your team’s momentum.


As we briefly mentioned at the beginning of this article, Riot Games is providing League of Legends to the gaming community for free.  Pay nothing, get everything.  Steven confirmed that players would not be charged to unlock certain abilities, champions, or anything else that makes up the game through some series of “microtransactions.”  The only elements that Riot Games will ask players to pay for are alternative appearances/outfits for the champions, and for things called “booster packs” that will allow players that may not play as frequently to earn more influence points for a match.

While League of Legends does fall into the realm of competitive co-op, it was hinted that future modes of play might feature more traditional co-op.  During our conversation with Steven, he mentioned that the community would ultimately determine future modes for League of Legends by voicing what they want through the League of Legends forums.  If they want a full co-op campaign mode and that would get them to continue playing the game, then Riot Games will provide one.  The folks at Riot Games would also like to see more co-op opportunities in the game, as many of them are fans of co-op gameplay themselves.  Steve summed things up best by sharing with us his all-time favorite co-op moment:

Calculated crystals, as found in the file.
Entry 1:
FeIr2C4: theoretical powder XRD pattern (CuKα), based on a crystal structure in OQMD, relaxed with GGA-PBE.
No peak broadening, texture or thermal motion is included.

Structural model:
```
data_FeIr2C4
_chemical_formula_sum 'Fe4 Ir8 C16'
_space_group_name_H-M_alt 'I b a m'
_space_group_IT_number 72
_space_group_name_Hall '-I 2 2c'
_cell_length_a 7.102
_cell_length_b 8.322
_cell_length_c 5.411
_cell_angle_alpha 90.00
_cell_angle_beta 90.00
_cell_angle_gamma 90.00
loop_
_atom_site_label
_atom_site_type_symbol
_atom_site_fract_x
_atom_site_fract_y
_atom_site_fract_z
Fe1 Fe 0.000 0.000 0.250
Ir1 Ir 0.181 0.472 0.000
C1 C 0.032 0.322 0.500
C2 C 0.074 0.162 0.500
```

Main lines, by intensity (2θ from 10° to 90°):
2θ/deg, I/Imax, hkl
21.36, 1000, 0 2 0
39.58, 466, 3 1 0
33.13, 450, 0 0 2
47.57, 301, 2 2 2
37.17, 299, 1 1 2
52.53, 217, 3 1 2
16.41, 208, 1 1 0
39.74, 205, 0 2 2
50.70, 199, 3 3 0
29.87, 178, 1 2 1
41.98, 176, 2 0 2
48.61, 148, 1 4 1


Entry 2:
NaGdPO: theoretical powder XRD pattern (CuKα), based on a crystal structure in OQMD, relaxed with GGA-PBE.
No peak broadening, texture or thermal motion is included.

Structural model:
```
data_NaGdPO
_chemical_formula_sum 'Na2 Gd2 P2 O2'
_space_group_name_H-M_alt 'P m c 21'
_space_group_IT_number 26
_cell_length_a 4.074
_cell_length_b 6.468
_cell_length_c 5.607
_cell_angle_alpha 90.00
_cell_angle_beta 90.00
_cell_angle_gamma 90.00
loop_
_space_group_symop_operation_xyz
'x,y,z'
'-x,-y,z+1/2'
'-x,y,z'
'x,-y,z+1/2'
loop_
_atom_site_label
_atom_site_type_symbol
_atom_site_fract_x
_atom_site_fract_y
_atom_site_fract_z
Na1 Na 0.000 0.125 0.000
Gd1 Gd 0.500 0.261 0.501
P1 P 0.000 0.500 0.248
O1 O 0.500 0.000 0.251
```

Main lines, by intensity (2θ from 10° to 90°):
2θ/deg, I/Imax, hkl
30.44, 1000, 1 1 1
20.97, 796, 0 1 1
35.44, 315, 1 2 0
42.68, 266, 0 2 2
21.81, 257, 1 0 0
39.00, 181, 1 0 2
48.43, 180, 1 2 2
55.96, 178, 1 1 3
49.66, 165, 2 1 1
45.05, 163, 0 3 1
31.93, 161, 0 0 2
63.34, 159, 2 2 2


Entry 3:
NaZrAgTeSe2: theoretical powder XRD pattern (CuKα), based on a crystal structure in OQMD, relaxed with GGA-PBE.
No peak broadening, texture or thermal motion is included.

Structural model:
```
data_NaZrAgTeSe2
_chemical_formula_sum 'Na2 Zr2 Ag2 Te2 Se4'
_space_group_name_H-M_alt 'P 1 21/m 1'
_space_group_IT_number 11
_cell_length_a 8.017
_cell_length_b 4.018
_cell_length_c 9.968
_cell_angle_alpha 90.00
_cell_angle_beta 107.67
_cell_angle_gamma 90.00
loop_
_space_group_symop_operation_xyz
'x,y,z'
'-x,-y,-z'
'-x,y+1/2,-z'
'x,-y+1/2,z'
loop_
_atom_site_label
_atom_site_type_symbol
_atom_site_fract_x
_atom_site_fract_y
_atom_site_fract_z
Na1 Na 0.232 0.250 0.196
Zr1 Zr 0.177 0.750 0.670
Ag1 Ag 0.412 0.250 0.901
Te1 Te 0.428 0.250 0.632
Se1 Se 0.064 0.750 0.370
Se2 Se 0.212 0.750 0.946
```

Main lines, by intensity (2θ from 10° to 90°):
2θ/deg, I/Imax, hkl
12.47, 1000, 1 0 -1
32.34, 793, 2 1 0
44.47, 451, 2 1 -4
31.61, 404, 2 1 -1
35.20, 395, 1 1 -3
45.12, 314, 0 2 0
48.19, 262, 2 1 3
The calculated crystals stop here.


One of my first multiplayer game experiences was Doom; but it wasn’t Doom multiplayer, it was null modem co-op.  It took about two days for my buddy and me to go through the whole game together, and it was one of the best experiences I ever had.  He and I are still friends and we still talk about that [session] probably about two or three times a year.  And I realized later that it wasn’t because I owned him or he owned me, it was because we went through the game together and that’s what really makes experiences… Yeah, it’s cool to own up on a couple of dudes because you’re that good, but at the same point in time, being able to get out of the game afterwards and talk about “hey you did this and I did that” is really where things come together.